Barcelona, May 03rd, 2010 The Investor Day that abertis is holding today in Barcelona will be focused on abertis telecoms business model, with an analysis of this business units performance and track record from when it joined the Group in year 2000 until now. The presentation highlights the weight of the telecommunications business in the Groups consolidated figures, as well as its performance since 2003, when retevisi n was integrated into the Group and abertis was created.
Todays presentation highlights how abertis telecoms income went from 247.4 million in 2003 to 541.3 million in 2009, with average growth of 14%. The companys EBITDA went from 64.5 million to 219.5 million in 2009, with average growth of 22.6%. For its part, net profit went from 12.6 million in 2003 to a figure of 95 million in 2009.
abertis telecoms presentation as part of the Groups Investor Day held today also makes clear the main elements which make up the audiovisual business value chain, from the generation of content to reception by the viewer, through the encoding, transport and broadcast elements, which are those provided by abertis telecom.
Another of the aspects highlighted by todays presentation is the source of the terrestrial business income from the different services provided by abertis telecom. 54% of the companys income comes from the distribution and broadcast of the television signal. On-site co-location and telecommunications network operation and maintenance services make up 14% of income, whilst reinforced engineering and consultancy sales represent 11%. TV signal transmission and dedicated circuit sales also generate 11% of income. For their part, radio signal distribution and broadcast services, in addition to radio communication services for security and emergency forces, generate 5% of income, respectively.
Transition to Digital Terrestrial Television (DTT)
abertis telecom has this year successfully completed the project for the transition to Digital Terrestrial Television (DTT), one of the most complex and ambitious technological migration exercises ever undertaken in a service as universal, and today fundamental, as television. The project has entailed a great deal of technical, logistical and social complexity (it affects more than 46 million people) for the deployment since 2005 of a new digital broadcast network based on existing and new centres, with the aim of replacing the analogue network deployed over the last 50 years.
Of the currently existing DTT transmitter centres in Spain (a total of 5,700), 52% (2,939) are managed by abertis telecom. The company has invested more than 350 million in this project, in which coverage has been provided, as established by the National Technical DTT Plan, to 98% and 96% of the population for public and private television stations, respectively.
Todays presentation as part of abertis Investor Day also highlights the business opportunities which will be opened up by the terrestrial business for abertis telecom. in the coming years. In this regard, it makes reference to the process by which new multiple DTT channels will be created; specifically three new national multiple channels in addition to the five already in existence, a regional multiple channel in addition to the one already in existence and a multiple channel for mobile TV. It is expected that the allocation of the three national multiple channels will become effective in mid-2010. The maximum deployment periods would therefore be 90% coverage in the last quarter of 2010 and 95% in the first quarter of 2011.
It also highlights the importance of the deregulation of frequency bands above channel 60 before January 2015, which will offer the company new business opportunities in the field of the provision of advanced electronic communications services (mobile operators).
DTT will also open up new development opportunities in new services such as pay-DTT, high-definition TV, 3D television and different convergence formulas between TV and Internet and mobile DTT, among others. In short, new applications and services in which abertis telecom as a neutral network operator, will continue to contribute all of its innovation and development capability.
## Someone pasted data records at this point
# 1
{"formula": "C16H24N8", "method": "ωB97M-V/def2-TZVPD", "symbols": ["N", "N", "N", "N", "N", "N", "N", "N", "C", "C", "C", "C", "C", "C", "C", "C", "C", "C", "C", "C", "C", "C", "C", "C", "H", "H", "H", "H", "H", "H", "H", "H", "H", "H", "H", "H", "H", "H", "H", "H", "H", "H", "H", "H", "H", "H", "H", "H"], "coordinates": [[1.2413, -3.9890, 3.7664], [2.2799, 4.5232, -1.4984], [0.4819, 4.0586, 5.9205], [2.9893, -0.7314, -0.1037], [-3.7116, 0.1437, -1.0538], [0.5517, -3.9103, -5.8783], [-0.6965, 0.7403, 1.0169], [-1.7046, -2.8034, 0.2404], [-3.7279, 0.8435, -0.0998], [-2.2266, -2.1432, -2.2484], [2.7334, 0.7235, 1.9542], [2.9149, -0.1201, 0.8092], [-0.8135, -2.4181, 3.3068], [1.5074, -3.7837, -3.5008], [-3.7541, 1.7466, 1.0230], [0.9950, -3.8491, -4.8349], [2.5320, 2.5641, -3.1520], [0.0094, 0.3446, -1.4963], [2.4501, 3.6613, -2.2417], [-0.1810, 3.3799, 3.5424], [0.1956, 3.7468, 4.8716], [0.3512, -3.3139, 3.5182], [-0.3636, 0.5683, -0.0910], [-1.9724, -2.4978, -0.8500], [-3.2920, -2.3537, -2.3409], [1.0018, 0.7841, -1.5962], [3.3101, 2.7714, -3.8866], [-1.2138, 3.6773, 3.3606], [2.8289, 1.6791, -2.5892], [-2.7877, 2.1719, 1.2935], [-1.1406, -2.0483, 4.2785], [1.6649, 0.9383, 1.9716], [-0.6615, 0.8786, -2.1691], [0.0913, -0.7029, -1.7864], [-1.9271, -1.1295, -2.5146], [2.5823, -3.9446, -3.4187], [-0.1030, 2.3836, 3.1071], [-0.4908, -1.4885, 2.8380], [-1.7854, -2.9467, -2.8381], [0.9406, -4.5245, -2.9368], [3.3277, 1.6337, 2.0338], [2.9368, 0.2345, 2.9069], [-4.3957, 1.2522, 1.7524], [-1.6847, -2.8373, 2.8034], [0.3515, 4.0696, 2.8876], [1.2026, -2.8261, -3.0786], [1.5999, 2.3265, -3.6645], [-4.4376, 2.5169, 0.6657]], "molar_mass_g_mol": 328.424, "homo_energy_ha": -0.4203, "multiplicity": 1, "gap_ha": 0.421, "energy_ev": -28898.5432, "relative_energy_kcal_mol": 36.7, "smiles": "CC#N.CC#N.CC#N.CC#N.CC#N.CC#N.CC#N.CC#N"}


# 2
{"formula": "C3H8N2O3S", "method": "ωB97M-V/def2-TZVPD", "symbols": ["S", "O", "O", "O", "N", "N", "C", "C", "C", "H", "H", "H", "H", "H", "H", "H", "H"], "coordinates": [[-1.6396, -0.2806, -0.1718], [-2.8767, 0.3234, 0.1208], [-1.6029, -1.7015, -0.0534], [2.3501, 0.0229, -0.5622], [1.1107, -1.1985, 0.9030], [-0.5514, 0.2143, 1.0671], [2.0749, -1.0188, 0.0478], [0.0458, 1.4627, 1.3686], [-0.8433, 0.1518, -1.7223], [0.5628, 1.1730, 2.2875], [0.4927, -1.9957, 0.7915], [2.6046, -1.9336, -0.0778], [0.8231, 1.8413, 0.5810], [-0.6569, 2.3275, 1.5872], [-0.7828, 1.2137, -1.7838], [0.2044, -0.2808, -1.7822], [-1.3155, -0.3212, -2.6009]], "molar_mass_g_mol": 152.175, "homo_energy_ha": [-0.3811, -0.3732], "multiplicity": 1, "gap_ha": [0.314, 0.308], "energy_ev": -23193.6938, "relative_energy_kcal_mol": 124.7}


# 3
Satellite infrastructures
Attached: quantum chemistry results.
1.
{"formula": "C3H4IN2OP", "method": "ωB97M-V/def2-TZVPD", "species": ["C", "C", "C", "N", "N", "O", "P", "I", "H", "H", "H", "H"], "xyz": [[1.293, 0.740, 0.641], [1.504, -0.511, 0.040], [0.053, 1.257, 0.434], [0.548, -0.874, -0.723], [-1.868, -0.647, -0.163], [0.277, -1.959, -1.318], [-0.713, 0.404, -0.922], [-0.821, 3.000, 1.237], [2.093, 1.098, 1.267], [2.418, -1.079, 0.085], [-2.125, -1.446, -0.645], [-2.659, 0.018, 0.067]], "mulliken_charge": [-0.53, -0.14, -0.05, 0.50, -0.52, -0.71, 0.04, 0.10, 0.39, 0.44, 0.25, 0.25], "de_lowest_kj_mol": 8.2, "gap_ha": [0.287, 0.287], "fmax_ev_per_a": 4.79}

***

2.
{"formula": "C3H4INO", "method": "ωB97M-V/def2-TZVPD", "species": ["C", "C", "C", "N", "O", "I", "H", "H", "H", "H"], "xyz": [[0.646, 0.314, -0.129], [-0.967, -0.485, -3.879], [-0.577, 0.051, 0.615], [1.621, 0.503, -0.699], [-0.424, -1.445, -3.648], [3.240, -1.114, -3.193], [-1.274, 0.957, 0.494], [-0.979, -0.864, 0.132], [-0.325, 0.217, 1.675], [3.062, 0.102, -2.004]], "mulliken_charge": [0.25, 0.08, -0.74, -0.34, -0.08, -0.21, 0.26, 0.25, 0.30, 0.23], "de_lowest_kj_mol": 58.7, "gap_ha": 0.361, "fmax_ev_per_a": 2.30}

=====

# 1
In line with the process of integration and convergence of terrestrial, satellite and cable signal transmission technologies, todays presentation has also highlighted abertis telecoms satellite business, in which it is present through its stakes in Eutelsat (31.4%) and Hispasat (42.1%). This business fits perfectly with abertis telecoms activity as a telecommunications network and infrastructure operator. In this regard, it is a capital-intensive business, with a strong element of collaboration with the Public Administration, which allows a high level of complementarity with the audiovisual sector (terrestrial infrastructures and support for the online services of abertis businesses), with visible, stable cash flows and attractive economies of scale for operating and expansion investments.
Through the companies in which it holds a stake in the satellite sector, Eutelsat and Hispasat, abertis telecom has a joint capacity of 32 satellites in 23 orbital positions and 5 satellites under construction which are expected to be launched in 2010 and 2011. Through both companies it has a presence in Europe, Africa, Asia and South America and covers more than 90% of the world population. Both Eutelsat and Hispasat are companies which have achieved a high level of growth in terms of both income and net profit, with leading EBITDA margins among world satellite operators (78.9% in the case of Eutelsat and 77.4% in the case of Hispasat).
Business prospects
The presentation on abertis Investor